[Material]
........
# 1
Structure and simulated PXRD pattern of NaU2I8 (a DFT-relaxed cell (GGA-PBE, Alexandria); CuKα).

```
data_NaU2I8
_cell_length_a 10.1897
_cell_length_b 10.1897
_cell_length_c 6.2316
_cell_angle_alpha 90.00
_cell_angle_beta 90.00
_cell_angle_gamma 120.00
_symmetry_space_group_name_H-M 'P -3'
_symmetry_Int_Tables_number 147
loop_
_symmetry_equiv_pos_as_xyz
'x,y,z'
'-x,-y,-z'
'-y,x-y,z'
'y,-x+y,-z'
'-x+y,-x,z'
'x-y,x,-z'
loop_
_atom_site_label
_atom_site_fract_x
_atom_site_fract_y
_atom_site_fract_z
_atom_site_occupancy
Na1 0.0000 0.0000 0.0000 1
U1 0.3333 0.6667 0.2360 1
I1 0.1659 0.3336 0.2524 1
I2 0.3333 0.6667 0.7453 1
```

Peak list (6 most intense, 10° ≤ 2θ ≤ 90°, in order of rising 2θ)
5.092 Å, intensity 89, (1 1 0)
4.412 Å, intensity 61, (2 0 0)
3.601 Å, intensity 36, (0 2 1)
2.940 Å, intensity 43, (3 0 0)
2.547 Å, intensity 100, (2 2 0)
1.972 Å, intensity 57, (2 2 2)



# 2
Structure and simulated PXRD pattern of Pr2Al2CuRh5 (a DFT-relaxed cell (GGA-PBE, Alexandria); CuKα).

```
data_Pr2Al2CuRh5
_cell_length_a 10.0116
_cell_length_b 10.0116
_cell_length_c 3.4935
_cell_angle_alpha 90.00
_cell_angle_beta 90.00
_cell_angle_gamma 90.00
_symmetry_space_group_name_H-M 'P 4/m b m'
_symmetry_Int_Tables_number 127
_symmetry_space_group_name_Hall '-P 4 2ab'
loop_
_atom_site_label
_atom_site_fract_x
_atom_site_fract_y
_atom_site_fract_z
_atom_site_occupancy
Pr1 0.1772 0.3228 0.0000 1
Al1 0.1225 0.6225 0.0000 1
Cu1 0.0000 0.0000 0.0000 1
Rh1 0.0000 0.5000 0.5000 1
Rh2 0.0621 0.7946 0.5000 1
```

Peak list (6 most intense, 10° ≤ 2θ ≤ 90°, in order of rising 2θ)
2.754 Å, intensity 55, (2 1 1)
2.486 Å, intensity 31, (2 2 1)
2.428 Å, intensity 76, (4 1 0)
2.346 Å, intensity 100, (3 1 1)
2.174 Å, intensity 33, (3 2 1)
1.418 Å, intensity 28, (4 1 2)



# 3
Structure and simulated PXRD pattern of Sm12TlPt6 (a DFT-relaxed cell (GGA-PBE, Alexandria); CuKα).

```
data_Sm12TlPt6
_cell_length_a 10.2178
_cell_length_b 10.2178
_cell_length_c 10.2178
_cell_angle_alpha 90.00
_cell_angle_beta 90.00
_cell_angle_gamma 90.00
_symmetry_space_group_name_H-M 'I m -3'
_symmetry_Int_Tables_number 204
_symmetry_space_group_name_Hall '-I 2 2 3'
loop_
_atom_site_label
_atom_site_fract_x
_atom_site_fract_y
_atom_site_fract_z
_atom_site_occupancy
Sm1 0.0000 0.3018 0.1807 1
Tl1 0.0000 0.0000 0.0000 1
Pt1 0.0000 0.1362 0.5000 1
```

Peak list (6 most intense, 10° ≤ 2θ ≤ 90°, in order of rising 2θ)
5.109 Å, intensity 16, (2 0 0)
2.731 Å, intensity 100, (3 1 2)
2.004 Å, intensity 30, (4 3 1)
1.703 Å, intensity 16, (6 0 0)
1.658 Å, intensity 21, (5 2 3)
1.188 Å, intensity 15, (7 0 5)



# 4
Structure and simulated PXRD pattern of Li6CaTl8 (a DFT-relaxed cell (GGA-PBE, Alexandria); CuKα).

```
data_Li6CaTl8
_cell_length_a 8.6127
_cell_length_b 8.6127
_cell_length_c 17.2538
_cell_angle_alpha 90.00
_cell_angle_beta 90.00
_cell_angle_gamma 120.00
_symmetry_space_group_name_H-M 'R -3'
_symmetry_Int_Tables_number 148
_symmetry_space_group_name_Hall '-R 3'
loop_
_atom_site_label
_atom_site_fract_x
_atom_site_fract_y
_atom_site_fract_z
_atom_site_occupancy
Li1 0.0138 0.7152 0.2843 1
Ca1 0.0000 0.0000 0.0000 1
Tl1 0.0000 0.0000 0.3797 1
Tl2 0.0030 0.6909 0.1190 1
```

Peak list (6 most intense, 10° ≤ 2θ ≤ 90°, in order of rising 2θ)
3.447 Å, intensity 100, (1 1 3)
2.486 Å, intensity 52, (3 0 0)
2.391 Å, intensity 38, (2 -1 6)
2.016 Å, intensity 21, (4 -2 3)
1.751 Å, intensity 13, (2 -1 9)
1.566 Å, intensity 17, (4 1 3)

~~~~~

Entry 1:
Computed X-ray diffraction stick pattern of Ce5FeSn2 for copper Kα, from a structure optimized by DFT (PBE).
Peak positions follow from Bragg's law for the DFT cell and can differ from measured ones.

Atomic structure:
Cell: 11.073 7.049 7.078 Å, 90.00 129.61 90.00°
Space group Cm (No. 8)
Asymmetric unit:
Ce: 0.000 0.000 0.000 x2
Ce: 0.173 0.252 0.381 x4
Ce: 0.206 0.241 0.920 x4
Fe: 0.139 0.500 0.670 x2
Sn: 0.443 0.500 0.422 x2
Sn: 0.444 0.000 0.867 x2

Principal peaks in the range 2θ = 10–90°, by intensity:
two_theta, Rel. int.
........
[To do]
Start at the top of the calculation results further up and copy each line, ending with the one that has "0.7152 0.2843".
[Completed]
# 1
Structure and simulated PXRD pattern of NaU2I8 (a DFT-relaxed cell (GGA-PBE, Alexandria); CuKα).

```
data_NaU2I8
_cell_length_a 10.1897
_cell_length_b 10.1897
_cell_length_c 6.2316
_cell_angle_alpha 90.00
_cell_angle_beta 90.00
_cell_angle_gamma 120.00
_symmetry_space_group_name_H-M 'P -3'
_symmetry_Int_Tables_number 147
loop_
_symmetry_equiv_pos_as_xyz
'x,y,z'
'-x,-y,-z'
'-y,x-y,z'
'y,-x+y,-z'
'-x+y,-x,z'
'x-y,x,-z'
loop_
_atom_site_label
_atom_site_fract_x
_atom_site_fract_y
_atom_site_fract_z
_atom_site_occupancy
Na1 0.0000 0.0000 0.0000 1
U1 0.3333 0.6667 0.2360 1
I1 0.1659 0.3336 0.2524 1
I2 0.3333 0.6667 0.7453 1
```

Peak list (6 most intense, 10° ≤ 2θ ≤ 90°, in order of rising 2θ)
5.092 Å, intensity 89, (1 1 0)
4.412 Å, intensity 61, (2 0 0)
3.601 Å, intensity 36, (0 2 1)
2.940 Å, intensity 43, (3 0 0)
2.547 Å, intensity 100, (2 2 0)
1.972 Å, intensity 57, (2 2 2)



# 2
Structure and simulated PXRD pattern of Pr2Al2CuRh5 (a DFT-relaxed cell (GGA-PBE, Alexandria); CuKα).

```
data_Pr2Al2CuRh5
_cell_length_a 10.0116
_cell_length_b 10.0116
_cell_length_c 3.4935
_cell_angle_alpha 90.00
_cell_angle_beta 90.00
_cell_angle_gamma 90.00
_symmetry_space_group_name_H-M 'P 4/m b m'
_symmetry_Int_Tables_number 127
_symmetry_space_group_name_Hall '-P 4 2ab'
loop_
_atom_site_label
_atom_site_fract_x
_atom_site_fract_y
_atom_site_fract_z
_atom_site_occupancy
Pr1 0.1772 0.3228 0.0000 1
Al1 0.1225 0.6225 0.0000 1
Cu1 0.0000 0.0000 0.0000 1
Rh1 0.0000 0.5000 0.5000 1
Rh2 0.0621 0.7946 0.5000 1
```

Peak list (6 most intense, 10° ≤ 2θ ≤ 90°, in order of rising 2θ)
2.754 Å, intensity 55, (2 1 1)
2.486 Å, intensity 31, (2 2 1)
2.428 Å, intensity 76, (4 1 0)
2.346 Å, intensity 100, (3 1 1)
2.174 Å, intensity 33, (3 2 1)
1.418 Å, intensity 28, (4 1 2)



# 3
Structure and simulated PXRD pattern of Sm12TlPt6 (a DFT-relaxed cell (GGA-PBE, Alexandria); CuKα).

```
data_Sm12TlPt6
_cell_length_a 10.2178
_cell_length_b 10.2178
_cell_length_c 10.2178
_cell_angle_alpha 90.00
_cell_angle_beta 90.00
_cell_angle_gamma 90.00
_symmetry_space_group_name_H-M 'I m -3'
_symmetry_Int_Tables_number 204
_symmetry_space_group_name_Hall '-I 2 2 3'
loop_
_atom_site_label
_atom_site_fract_x
_atom_site_fract_y
_atom_site_fract_z
_atom_site_occupancy
Sm1 0.0000 0.3018 0.1807 1
Tl1 0.0000 0.0000 0.0000 1
Pt1 0.0000 0.1362 0.5000 1
```

Peak list (6 most intense, 10° ≤ 2θ ≤ 90°, in order of rising 2θ)
5.109 Å, intensity 16, (2 0 0)
2.731 Å, intensity 100, (3 1 2)
2.004 Å, intensity 30, (4 3 1)
1.703 Å, intensity 16, (6 0 0)
1.658 Å, intensity 21, (5 2 3)
1.188 Å, intensity 15, (7 0 5)



# 4
Structure and simulated PXRD pattern of Li6CaTl8 (a DFT-relaxed cell (GGA-PBE, Alexandria); CuKα).

```
data_Li6CaTl8
_cell_length_a 8.6127
_cell_length_b 8.6127
_cell_length_c 17.2538
_cell_angle_alpha 90.00
_cell_angle_beta 90.00
_cell_angle_gamma 120.00
_symmetry_space_group_name_H-M 'R -3'
_symmetry_Int_Tables_number 148
_symmetry_space_group_name_Hall '-R 3'
loop_
_atom_site_label
_atom_site_fract_x
_atom_site_fract_y
_atom_site_fract_z
_atom_site_occupancy
Li1 0.0138 0.7152 0.2843 1